Colleges as Civic Anchors in the response to COVID 19

#LoveOurColleges – Colleges sit between students and employers. As they have increased in size through recent mergers, they have become significant anchors within their communities. They sit at the centre of networks of competence.
Records of crystals from another source follow:
-- begin --
(1)
# NdAlZnPd2
Calculated PXRD pattern, Cu Kα (λ = 1.5418 Å). Input: a GGA-PBE-relaxed structure.
Peak positions follow from Bragg's law for the DFT cell and can differ from measured ones.

Structure:
```
NdAlZnPd2
1.0
2.6869 -6.5008 0.0000
2.6869 6.5008 0.0000
0.0000 0.0000 5.6900
Nd Al Zn Pd
2 2 2 4
Cartesian
2.6869 3.2504 4.3891 Nd
2.6869 -3.2504 1.3009 Nd
1.3434 0.0000 2.8450 Al
4.0303 0.0000 2.8450 Al
0.0000 0.0000 0.0000 Zn
2.6869 0.0000 0.0000 Zn
2.6869 4.6512 1.7136 Pd
2.6869 1.8497 1.7136 Pd
2.6869 -1.8497 3.9764 Pd
2.6869 -4.6512 3.9764 Pd
```

Main lines, sorted by position (2θ = 5–70°):
2θ = 13.6°, d 6.501, I 26
2θ = 30.8°, d 2.902, I 100
2θ = 31.4°, d 2.845, I 20
2θ = 33.3°, d 2.687, I 61
2θ = 34.4°, d 2.606, I 51
2θ = 36.4°, d 2.469, I 23
2θ = 41.7°, d 2.165, I 94
2θ = 46.5°, d 1.953, I 21
2θ = 46.7°, d 1.946, I 18
2θ = 48.7°, d 1.871, I 25
2θ = 58.0°, d 1.590, I 16
2θ = 65.4°, d 1.428, I 29



(2)
# Sc5Co3
Calculated PXRD pattern, Cu Kα (λ = 1.5418 Å). Input: a GGA-PBE-relaxed structure.
Peak positions follow from Bragg's law for the DFT cell and can differ from measured ones.

Structure:
```
Sc5Co3
1.0
5.5227 -5.0627 0.0000
5.5227 5.0627 0.0000
-2.4461 0.0000 5.0815
Sc Co
10 6
Cartesian
3.6882 4.9403 3.8111 Sc
3.5551 2.1281 2.1760 Sc
1.2390 0.7542 4.0926 Sc
2.4620 -0.7542 1.5519 Sc
6.2674 2.1281 0.3648 Sc
2.3320 -2.1281 4.7167 Sc
6.1373 0.7542 3.5297 Sc
7.3604 -0.7542 0.9889 Sc
5.0443 -2.1281 2.9056 Sc
4.9112 -4.9403 1.2704 Sc
1.5264 3.3840 4.7242 Co
5.8499 3.3840 2.8981 Co
4.9112 0.0330 1.2704 Co
3.6882 -0.0330 3.8111 Co
2.7494 -3.3840 2.1834 Co
7.0730 -3.3840 0.3573 Co
```

Main lines, sorted by position (2θ = 5–70°):
2θ = 18.1°, d 4.913, I 19
2θ = 31.9°, d 2.810, I 15
2θ = 35.0°, d 2.561, I 43
2θ = 35.2°, d 2.550, I 17
2θ = 36.6°, d 2.456, I 41
2θ = 38.1°, d 2.363, I 57
2θ = 39.4°, d 2.289, I 19
2θ = 39.7°, d 2.270, I 71
2θ = 40.0°, d 2.256, I 29
2θ = 40.4°, d 2.232, I 100
2θ = 41.9°, d 2.156, I 36
2θ = 46.7°, d 1.947, I 15



(3)
# K4SrSi3O9
Calculated PXRD pattern, Cu Kα (λ = 1.5418 Å). Input: a GGA-PBE-relaxed structure.
Peak positions follow from Bragg's law for the DFT cell and can differ from measured ones.

Structure:
```
K4SrSi3O9
1.0
11.1268 0.0000 0.0000
0.0000 4.0336 6.0317
0.0000 -4.0336 6.0317
K Sr Si O
8 2 6 18
Cartesian
0.0000 0.0000 0.0000 K
0.0000 0.0000 5.2952 K
2.7817 1.8120 5.9381 K
2.7817 0.4514 9.4769 K
5.5634 0.0000 0.0000 K
5.5634 0.0000 5.2952 K
8.3451 -1.8120 5.9381 K
8.3451 -0.4514 9.4769 K
2.7817 -0.0860 2.8036 Sr
8.3451 0.0860 2.8036 Sr
0.3493 -1.5591 8.5700 Si
2.7817 -1.7935 6.4352 Si
5.2141 -1.5591 8.5700 Si
5.9127 1.5591 8.5700 Si
8.3451 1.7935 6.4352 Si
10.7774 1.5591 8.5700 Si
0.0000 0.0000 9.1358 O
1.0005 2.2552 8.0056 O
1.1496 1.7210 3.7215 O
1.4291 -1.2782 7.2954 O
2.7817 -3.4159 6.3315 O
2.7817 -0.9837 5.0416 O
4.1343 -1.2782 7.2954 O
4.4138 1.7210 3.7215 O
4.5629 2.2552 8.0056 O
5.5634 0.0000 9.1358 O
6.5639 -2.2552 8.0056 O
6.7130 -1.7210 3.7215 O
6.9925 1.2782 7.2954 O
-- stop --
Throughout the pandemic, and throughout the country, colleges are stepping up to help their communities.
In time it will be interesting to tell the full story, but for the moment a quick search of the web reveals a range of college contributions to help their communities at this point of crisis.
They have adapted their high levels of technical competence and community integration to bring support both to their students, and to the wider population.
East Coast College has bought 600 laptops for staff and students to ensure that “no student is left behind or disadvantaged” as institutions across the country prepare to lose months of face-to-face teaching.
The Principal, Stuart Rimmer says:
“The college has developed a model of inclusion and community focus in a time of isolation and despair for so many. Crucially, online tools such as Moodle and Pro Monitor will allow for daily contact with staff and interaction between students – to bring as much of the classroom atmosphere to the home as possible
“Like many the college is offering wrap around support: we have produced a ‘Big Book of Working from Home’, it has loads of information on everything from IT, safeguarding, HR team FAQs around contracts, how to use the online comms systems and even how to structure the working day.”
As well as to students, Milton Keynes college is offering a service to parents:
“If any members of your household have time on their hands over the coming weeks you might be interested in the College’s Distance Learning provision. We offer a number of short courses across a range of vocational areas.”
Like many others, City of Bristol College is maintaining contact with employers and apprentices:
“Contact has been made with employers using a range of different tools including Microsoft Teams, Notebook and Zoom for conferencing. The College has also been arranging various telephone and Skype interviews with employers and apprentices to maintain relationships.”
City of Glasgow college is also meeting a range of challenges:
“We continue to monitor the mental health and wellbeing of our Merchant Navy cadet officers who, as vital workers, are keeping our ports supplied with goods. We recognise and admire the delicate balancing act our seafarers have to perform in observing expert health advice while remaining on board their vessels. We also offer 24/7 online mental health and well-being support through the Big White Wall digital platform – available to all our students and staff.”
Hugh Baird College has been using technology to stream live cooking demos, host competitions and offer pastoral support as they adapt to teaching in isolation. Level 1 hospitality students have been recreating dishes made by chef lecturers at home.
College students have also been offering their newly acquired skills to support the community.
Students are using their new skills to support the community in a variety of creative ways
Students from USP College have set up an assistance service to help those most at risk during the Covid-19 crisis, offering to complete shopping trips and any other necessary excursions on behalf of the elderly and all other high-risk groups locally.
York College’s childcare students and staff have volunteered in some of the city’s childcare centres.
Staff also are drawing on their years of professional competence to aid the community
The body repair specialists at Nottingham College have used their employer links to donate over 100 sets high grade kit that had been purchased for training in the automotive industry to ensure that NHS frontline workers now have access to some of the best high-grade PPE available. The college has gone on to donate thousands of pairs of gloves and masks from other areas of its curriculum, including hair and beauty, engineering, catering and hospitality, construction, and science.
Riverside Colleges has also supplied PPE equipment to Social Care services.
York College has donated almost 800 pieces of PPE, to its local hospital. A range of masks, gloves, overalls and safety glasses, which are usually in stock for use by construction, engineering and stonemasonry students, have been handed to the York Teaching Hospital Trust.
York College principal, Lee Probert said, “Since we’ve moved to online delivery only, we decided that these should be given to front-line staff in the NHS who are saving lives.”
Meanwhile Coleg Cambria is mass producing safety visors and face masks, using its 3D printers and laser cutting machinery to manufacture PPE for frontline workers.
College manufactures safety visors and face masks for NHS and frontline workers in Covid-19 battle: @COLEGCAMBRIA is mass producing safety visors and face masks to the #NHS help in the battle against Covid-19. The north east Wales institution is using 3D…
— FE News – The #FutureofEducation News Channel (@FENews) April 8, 2020
The college has also donated goggles, gloves, aprons and face masks from the college’s science departments to local healthcare facilities.
Tables and chairs earmarked for exams have been donated to the Advanced Manufacturing Research Centre at Broughton to ensure social distancing as Airbus steps up its ventilator challenge and 150 people prepare to begin training and testing on-site.
Across the country colleges have opened their door to support their community
Dudley College has established a training centre within its state-of-the-art facilities for hundreds of new 999 and 111 call-handlers.
Milton Keynes College is working with the local Council to explore how their kitchens can be used to prepare food for those in need.
Day Nurseries, such as at Neath College, remain open, while Bridgwater & Taunton College has opened its residential accommodation to the homeless.
Glasgow City College has kept open two halls of residence, supporting the welfare of vulnerable students, international students, and those from elsewhere in the UK who are unable to travel home during this lockdown.
Paul Little, Glasgow City College CEO, tells me:
“City of Glasgow College is actively contributing to the national and civic resilience effort. We have been liaising with NHS Greater Glasgow & Clyde and we have engaged with the Scottish Government to highlight that we stand ready to help where we can.
“We are also supporting our local business community, working closely with both the Glasgow Chamber of Commerce and the Glasgow Business Resilience Council.”
Bristol College, too, is helping local businesses to prepare themselves to be in a stronger position to take advantage of all opportunities after the lock down is over.
East coast college has been using its kitchens to bake bread for the local community, offering a lifeline to at-risk groups facing empty supermarket shelves.
Stuart Rimmer, CEO, tells me that, post pandemic, his leadership priorities are:
“How we support our community with re-skills and re-train as industry adjusts and finds its new normal. Old strategic plans are redundant. So, I’m still thinking through priorities, but I do know they will be different!”
Exeter College Offers Accommodation to NHS Workers: #LoveOurColleges – @ExeterCollege has opened the doors of its Clock Tower accommodation to #NHS workers in need of a place to stay during the #Coronavirus (COVID-19) crisis The accommodation officially…
— FE News – The #FutureofEducation News Channel (@FENews) April 6, 2020
The relationship between colleges and their local environment is a dynamic one
In this period of uncertainty there is a process of recalibration of the skills that society values. Colleges are already responding to the new context. The front line is now in care and supply.
Colleges have always provided courses that are based on a close scrutiny of labour market information and other intelligence that they glean from entrepreneurs and policymakers. They maintain a high state of intelligence on the needs of society.
They will take a lead on the progress and future direction of the economic system in which they are embedded. Their expertise will be crucial during the period of reconstruction and reorientation following the pandemic, when little will be the same again.
Colleges understand the interrelated nature of supply chains, and the professional and technical services necessary to support them. The relationship between colleges and their local environment is a dynamic one.
Their role within localities continues to evolve, responding to an in-depth understanding of the local economic and civic space, their provision constantly adapting to or proactively shaping the economic and civic priorities of their respective regions.
• These records of crystals were left in the page by mistake:
........
[1]
The following is a calculated powder diffraction line list of Hf2ZnGe4. It was derived from the GGA-PBE geometry in Alexandria, using Cu Kα X-rays.
Intensities are scaled so that the largest is 100.

Atomic structure:
Cell: 3.787 3.787 9.110 Å, 90.00 90.00 90.00°
Fractional coordinates of all 7 atoms:
Hf (0.000, 0.500, 0.239)
Hf (0.500, 0.000, 0.761)
Zn (0.000, 0.000, 0.500)
Ge (0.000, 0.000, 0.000)
Ge (0.000, 0.500, 0.677)
Ge (0.500, 0.000, 0.323)
Ge (0.500, 0.500, 0.000)

Most intense lines, 5 to 70 degrees two-theta, low angle first:
- 19.49°, I = 15
- 25.47°, I = 36
- 37.98°, I = 26
- 39.02°, I = 100
- 48.05°, I = 33
- 56.01°, I = 15

[2]
The following is a calculated powder diffraction line list of Hf3Zr2Ge2. It was derived from the GGA-PBE geometry in Alexandria, using Cu Kα X-rays.
Intensities are scaled so that the largest is 100.

Atomic structure:
Cell: 10.712 3.808 7.516 Å, 90.00 109.07 90.00°
Fractional coordinates of all 14 atoms:
Hf (0.000, 0.000, 0.000)
Hf (0.126, 0.000, 0.452)
Hf (0.374, 0.500, 0.548)
Hf (0.500, 0.500, 0.000)
Hf (0.626, 0.500, 0.452)
Hf (0.874, 0.000, 0.548)
Zr (0.143, 0.500, 0.800)
Zr (0.357, 0.000, 0.200)
Zr (0.643, 0.000, 0.800)
Zr (0.857, 0.500, 0.200)
Ge (0.166, 0.500, 0.203)
Ge (0.334, 0.000, 0.797)
Ge (0.666, 0.000, 0.203)
Ge (0.834, 0.500, 0.797)

Most intense lines, 5 to 70 degrees two-theta, low angle first:
- 25.00°, I = 37
- 33.50°, I = 61
- 34.66°, I = 100
- 36.25°, I = 34
- 37.76°, I = 81
- 47.76°, I = 35

[3]
The following is a calculated powder diffraction line list of HgGe. It was derived from the GGA-PBE geometry in Alexandria, using Cu Kα X-rays.
Intensities are scaled so that the largest is 100.

Atomic structure:
Cell: 2.896 3.035 5.206 Å, 90.00 90.00 90.00°
Fractional coordinates of all 2 atoms:
Hg (0.000, 0.000, 0.000)
Ge (0.000, 0.500, 0.500)

Most intense lines, 5 to 70 degrees two-theta, low angle first:
- 17.03°, I = 52
- 30.87°, I = 65
- 34.20°, I = 100
- 34.45°, I = 49
- 46.73°, I = 84
- 46.93°, I = 42

[4]
The following is a calculated powder diffraction line list of HoHg2Ge. It was derived from the GGA-PBE geometry in Alexandria, using Cu Kα X-rays.
Intensities are scaled so that the largest is 100.

Atomic structure:
Cell: 4.290 4.290 4.909 Å, 90.00 90.00 90.00°
Fractional coordinates of all 4 atoms:
Ho (0.000, 0.000, 0.000)
Hg (0.000, 0.500, 0.500)
Hg (0.500, 0.000, 0.500)
Ge (0.500, 0.500, 0.000)

Most intense lines, 5 to 70 degrees two-theta, low angle first:
- 34.76°, I = 100
- 36.61°, I = 22
- 42.12°, I = 30
- 57.02°, I = 24
- 61.09°, I = 10
- 64.73°, I = 17

[5]
The following is a calculated powder diffraction line list of HgGeI2. It was derived from the GGA-PBE geometry in Alexandria, using Cu Kα X-rays.
Intensities are scaled so that the largest is 100.

Atomic structure:
Cell: 7.415 4.284 10.944 Å, 90.00 107.45 90.00°
Fractional coordinates of all 8 atoms:
Hg (0.187, 0.250, 0.005)
Hg (0.813, 0.750, 0.995)
Ge (0.251, 0.750, 0.501)
Ge (0.749, 0.250, 0.499)
........
We should celebrate the response of colleges to the present emergency and support them fully as they help lead us out of it.
Paul Grainger, Co-director of the Centre for Education and Work, and Head of Innovation and Enterprise for the Department of Education, Practice and Society, UCL